Data:
1.
Here is an optimized crystal structure of Na6Mg3ZrP4S2O24 from Materials Project. Energies are from PBE.

Values from the calculation:
Crystal system: triclinic

```
Na6Mg3ZrP4S2O24
1.0
-2.533 8.601 -0.919
-2.499 -4.679 7.271
18.422 6.575 10.572
Na Mg Zr P S O
18 9 3 12 6 72
direct
0.364 0.365 0.254
0.638 0.636 0.744
0.996 0.347 0.748
0.298 0.342 0.585
0.027 0.692 0.579
0.675 0.963 0.581
0.291 0.965 0.080
0.663 0.691 0.083
0.043 0.342 0.083
0.323 0.296 0.910
0.980 0.306 0.411
0.695 0.676 0.411
0.007 0.000 0.493
0.992 0.985 0.991
0.652 0.302 0.828
0.665 0.314 0.328
0.323 0.672 0.171
0.340 0.669 0.664
0.005 0.997 0.352
0.997 0.003 0.852
0.995 0.006 0.652
0.004 0.996 0.152
0.661 0.328 0.686
0.673 0.341 0.185
0.329 0.665 0.015
0.333 0.665 0.512
0.334 0.676 0.320
0.672 0.342 0.978
0.668 0.334 0.479
0.337 0.675 0.817
0.298 0.294 0.750
0.708 0.003 0.748
0.966 0.336 0.587
0.667 0.632 0.586
0.965 0.630 0.087
0.369 0.334 0.087
0.635 0.677 0.920
0.038 0.367 0.918
0.326 0.962 0.922
0.630 0.958 0.417
0.329 0.370 0.415
0.045 0.674 0.418
0.298 0.999 0.248
0.701 0.703 0.250
0.999 0.295 0.250
0.000 0.708 0.748
0.370 0.036 0.586
0.667 0.039 0.086
0.206 0.023 0.299
0.801 0.790 0.304
0.984 0.194 0.304
0.212 0.194 0.808
0.984 0.797 0.801
0.822 0.024 0.801
0.775 0.965 0.689
0.190 0.213 0.693
0.020 0.803 0.692
0.787 0.801 0.194
0.018 0.209 0.195
0.204 0.982 0.191
0.878 0.358 0.642
0.477 0.120 0.638
0.642 0.520 0.642
0.878 0.510 0.140
0.641 0.123 0.139
0.481 0.357 0.142
0.460 0.308 0.030
0.850 0.539 0.030
0.693 0.147 0.032
0.452 0.143 0.531
0.684 0.536 0.529
0.850 0.311 0.530
0.547 0.690 0.977
0.144 0.456 0.974
0.316 0.866 0.980
0.553 0.860 0.477
0.306 0.452 0.473
0.137 0.692 0.478
0.126 0.633 0.365
0.519 0.872 0.363
0.365 0.484 0.359
0.124 0.478 0.861
0.349 0.868 0.866
0.516 0.646 0.863
0.007 0.822 0.410
0.814 0.984 0.411
0.169 0.191 0.409
0.024 0.191 0.913
0.173 0.989 0.914
0.813 0.826 0.911
0.985 0.173 0.587
0.197 0.018 0.590
0.835 0.808 0.587
0.974 0.807 0.090
0.822 0.022 0.091
0.188 0.172 0.089
0.691 0.166 0.744
0.485 0.330 0.746
0.845 0.533 0.746
0.680 0.526 0.248
0.845 0.313 0.246
0.471 0.160 0.246
0.636 0.501 0.921
0.856 0.348 0.921
0.492 0.146 0.922
0.658 0.147 0.422
0.495 0.354 0.422
0.857 0.505 0.422
0.354 0.498 0.080
0.147 0.654 0.080
0.513 0.866 0.080
0.353 0.864 0.580
0.507 0.653 0.580
0.145 0.499 0.580
0.317 0.846 0.255
0.525 0.680 0.252
0.159 0.467 0.252
0.313 0.480 0.754
0.153 0.682 0.752
0.523 0.838 0.755
```



2.
Here is an optimized crystal structure of Na3Mg3ZrPS5O24 from Materials Project. Energies are from PBE.

Values from the calculation:
Crystal system: triclinic

```
Na3Mg3ZrPS5O24
1.0
8.822 -0.014 0.001
-4.423 7.609 -0.008
0.001 -0.022 22.906
Na Mg Zr P S O
9 9 3 3 15 72
direct
0.363 0.363 0.251
0.026 0.698 0.585
0.300 0.966 0.080
0.991 0.002 0.501
0.999 0.008 0.992
0.666 0.328 0.827
0.678 0.331 0.331
0.333 0.666 0.168
0.353 0.664 0.663
0.995 0.997 0.351
0.007 0.008 0.852
0.992 0.001 0.650
0.991 0.998 0.152
0.661 0.336 0.685
0.677 0.336 0.185
0.329 0.660 0.014
0.348 0.667 0.518
0.334 0.675 0.317
0.671 0.331 0.977
0.666 0.339 0.482
0.327 0.668 0.814
0.665 0.631 0.587
0.046 0.368 0.918
0.322 0.954 0.920
0.292 0.999 0.249
0.706 0.706 0.250
0.000 0.292 0.251
0.292 0.287 0.749
0.994 0.708 0.749
0.713 0.006 0.750
0.961 0.333 0.585
0.372 0.038 0.585
0.962 0.629 0.086
0.668 0.038 0.085
0.373 0.336 0.086
0.628 0.674 0.918
0.626 0.955 0.416
0.326 0.372 0.415
0.048 0.673 0.417
0.208 0.029 0.300
0.813 0.788 0.303
0.975 0.185 0.303
0.210 0.185 0.802
0.976 0.793 0.801
0.814 0.025 0.803
0.789 0.976 0.697
0.185 0.209 0.696
0.024 0.811 0.695
0.786 0.811 0.197
0.031 0.213 0.198
0.190 0.974 0.194
0.878 0.361 0.636
0.482 0.120 0.636
0.643 0.515 0.639
0.876 0.520 0.137
0.637 0.123 0.136
0.478 0.358 0.139
0.460 0.307 0.034
0.854 0.545 0.032
0.692 0.147 0.032
0.457 0.146 0.531
0.694 0.538 0.530
0.850 0.305 0.531
0.546 0.695 0.970
0.153 0.454 0.973
0.308 0.856 0.977
0.544 0.853 0.469
0.307 0.457 0.467
0.144 0.691 0.471
0.128 0.644 0.365

Wanted:
It remains to quote only the lines further above with the word "crystal" in them.

Worked solution:
Here is an optimized crystal structure of Na6Mg3ZrP4S2O24 from Materials Project. Energies are from PBE.
Here is an optimized crystal structure of Na3Mg3ZrPS5O24 from Materials Project. Energies are from PBE.